Exercise >
Could you find the line underneath that holds "0.1299", then repeat that line and all lines after it there?
Entries >
********
Entry 1:
Diffraction record for Sc3In6Br14. The powder diffractogram is simulated, not measured: it uses DFT lattice parameters and positions (PBE) and Cu Kα.
No peak broadening, texture or thermal motion is included.

Atomic structure:
abc: 11.9169 11.9169 6.9159
angles: 90.00 90.00 120.00
Fractional coordinates of all 23 atoms:
Sc  0.0000  0.0000  0.0000
Sc  0.3333  0.6667  0.1366
Sc  0.6667  0.3333  0.4953
In  0.1074  0.3162  0.4136
In  0.2088  0.8926  0.4136
In  0.4541  0.4342  0.9258
In  0.5658  0.0198  0.9258
In  0.6838  0.7912  0.4136
In  0.9802  0.5459  0.9258
Br  0.0000  0.0000  0.6355
Br  0.1159  0.5871  0.3590
Br  0.1914  0.4487  0.9213
Br  0.2259  0.1402  0.1380
Br  0.2572  0.8086  0.9213
Br  0.4129  0.5288  0.3590
Br  0.4421  0.1846  0.6280
Br  0.4712  0.8841  0.3590
Br  0.5513  0.7428  0.9213
Br  0.6667  0.3333  0.1299
Br  0.7425  0.5579  0.6280
Br  0.8154  0.2575  0.6280
Br  0.8598  0.0856  0.1380
Br  0.9144  0.7741  0.1380

Most intense lines, 2θ from 10° to 80°, in order of rising 2θ:
| d [Å] | intensity |
| --- | --- |
| 4.136 | 52 |
| 3.398 | 100 |
| 3.279 | 70 |
| 3.080 | 91 |
| 2.979 | 38 |
| 2.873 | 67 |
| 2.862 | 77 |
| 2.645 | 100 |
| 2.588 | 47 |
| 1.985 | 40 |

---

Entry 2:
Diffraction record for Pa2NbSe4. The powder diffractogram is simulated, not measured: it uses DFT lattice parameters and positions (PBE) and Cu Kα.
No peak broadening, texture or thermal motion is included.

Atomic structure:
abc: 14.9350 3.6575 6.8184
angles: 90.00 115.79 90.00
Fractional coordinates of all 14 atoms:
Pa  0.2470  0.0000  0.2515
Pa  0.2530  0.5000  0.7485
Pa  0.7470  0.5000  0.2515
Pa  0.7530  0.0000  0.7485
Nb  0.0000  0.0000  0.0000
Nb  0.5000  0.5000  0.0000
Se  0.1039  0.5000  0.3013
Se  0.1146  0.0000  0.7930
Se  0.3854  0.5000  0.2070
Se  0.3961  0.0000  0.6987
Se  0.6039  0.0000  0.3013
Se  0.6146  0.5000  0.7930
Se  0.8854  0.0000  0.2070
Se  0.8961  0.5000  0.6987

Most intense lines, 2θ from 10° to 80°, in order of rising 2θ:
| d [Å] | intensity |
| --- | --- |
| 6.724 | 67 |
| 3.223 | 54 |
| 3.070 | 51 |
| 2.894 | 100 |
| 2.422 | 31 |
| 2.365 | 45 |
| 2.340 | 75 |
| 2.314 | 36 |
| 1.930 | 49 |
| 1.850 | 23 |

---

Entry 3:
Diffraction record for Pr7NiCl12. The powder diffractogram is simulated, not measured: it uses DFT lattice parameters and positions (PBE) and Cu Kα.
No peak broadening, texture or thermal motion is included.

Atomic structure:
abc: 9.2513 9.2513 9.2513
angles: 107.55 107.55 107.55
Fractional coordinates of all 20 atoms:
Pr  0.0000  0.0000  0.0000
Pr  0.1775  0.4738  0.3806
Pr  0.3806  0.1775  0.4738
Pr  0.4738  0.3806  0.1775
Pr  0.5262  0.6194  0.8225
Pr  0.6194  0.8225  0.5262
Pr  0.8225  0.5262  0.6194
Ni  0.5000  0.5000  0.5000
Cl  0.0278  0.1195  0.3320
Cl  0.1195  0.3320  0.0278
Cl  0.1868  0.5793  0.7095
Cl  0.2905  0.8132  0.4207
Cl  0.3320  0.0278  0.1195
Cl  0.4207  0.2905  0.8132
Cl  0.5793  0.7095  0.1868
Cl  0.6680  0.9722  0.8805
Cl  0.7095  0.1868  0.5793
Cl  0.8132  0.4207  0.2905
Cl  0.8805  0.6680  0.9722
Cl  0.9722  0.8805  0.6680

Most intense lines, 2θ from 10° to 80°, in order of rising 2θ:
| d [Å] | intensity |
| --- | --- |
| 7.957 | 31 |
| 7.463 | 76 |
| 4.398 | 19 |
| 3.511 | 16 |
| 3.378 | 18 |
| 2.923 | 100 |
| 2.557 | 16 |
| 2.070 | 33 |
| 2.064 | 36 |
| 1.689 | 16 |

---

Entry 4:
Diffraction record for Er3Ga8Rh4. The powder diffractogram is simulated, not measured: it uses DFT lattice parameters and positions (PBE) and Cu Kα.
No peak broadening, texture or thermal motion is included.

Atomic structure:
abc: 8.9944 8.9944 8.9944
angles: 60.00 60.00 60.00
Fractional coordinates of all 30 atoms:
Er  0.2160  0.2160  0.7840
Er  0.2160  0.7840  0.2160
Er  0.2160  0.7840  0.7840
Er  0.7840  0.2160  0.2160
Er  0.7840  0.2160  0.7840
Er  0.7840  0.7840  0.2160
Ga  0.1294  0.6235  0.6235
Ga  0.1627  0.1627  0.1627
Ga  0.1627  0.1627  0.5119
Ga  0.1627  0.5119  0.1627
Ga  0.3765  0.3765  0.3765
Ga  0.3765  0.3765  0.8706
Ga  0.3765  0.8706  0.3765
********
Written answer >
Br  0.6667  0.3333  0.1299
Br  0.7425  0.5579  0.6280
Br  0.8154  0.2575  0.6280
Br  0.8598  0.0856  0.1380
Br  0.9144  0.7741  0.1380

Most intense lines, 2θ from 10° to 80°, in order of rising 2θ:
| d [Å] | intensity |
| --- | --- |
| 4.136 | 52 |
| 3.398 | 100 |
| 3.279 | 70 |
| 3.080 | 91 |
| 2.979 | 38 |
| 2.873 | 67 |
| 2.862 | 77 |
| 2.645 | 100 |
| 2.588 | 47 |
| 1.985 | 40 |

---

Entry 2:
Diffraction record for Pa2NbSe4. The powder diffractogram is simulated, not measured: it uses DFT lattice parameters and positions (PBE) and Cu Kα.
No peak broadening, texture or thermal motion is included.

Atomic structure:
abc: 14.9350 3.6575 6.8184
angles: 90.00 115.79 90.00
Fractional coordinates of all 14 atoms:
Pa  0.2470  0.0000  0.2515
Pa  0.2530  0.5000  0.7485
Pa  0.7470  0.5000  0.2515
Pa  0.7530  0.0000  0.7485
Nb  0.0000  0.0000  0.0000
Nb  0.5000  0.5000  0.0000
Se  0.1039  0.5000  0.3013
Se  0.1146  0.0000  0.7930
Se  0.3854  0.5000  0.2070
Se  0.3961  0.0000  0.6987
Se  0.6039  0.0000  0.3013
Se  0.6146  0.5000  0.7930
Se  0.8854  0.0000  0.2070
Se  0.8961  0.5000  0.6987

Most intense lines, 2θ from 10° to 80°, in order of rising 2θ:
| d [Å] | intensity |
| --- | --- |
| 6.724 | 67 |
| 3.223 | 54 |
| 3.070 | 51 |
| 2.894 | 100 |
| 2.422 | 31 |
| 2.365 | 45 |
| 2.340 | 75 |
| 2.314 | 36 |
| 1.930 | 49 |
| 1.850 | 23 |

---

Entry 3:
Diffraction record for Pr7NiCl12. The powder diffractogram is simulated, not measured: it uses DFT lattice parameters and positions (PBE) and Cu Kα.
No peak broadening, texture or thermal motion is included.

Atomic structure:
abc: 9.2513 9.2513 9.2513
angles: 107.55 107.55 107.55
Fractional coordinates of all 20 atoms:
Pr  0.0000  0.0000  0.0000
Pr  0.1775  0.4738  0.3806
Pr  0.3806  0.1775  0.4738
Pr  0.4738  0.3806  0.1775
Pr  0.5262  0.6194  0.8225
Pr  0.6194  0.8225  0.5262
Pr  0.8225  0.5262  0.6194
Ni  0.5000  0.5000  0.5000
Cl  0.0278  0.1195  0.3320
Cl  0.1195  0.3320  0.0278
Cl  0.1868  0.5793  0.7095
Cl  0.2905  0.8132  0.4207
Cl  0.3320  0.0278  0.1195
Cl  0.4207  0.2905  0.8132
Cl  0.5793  0.7095  0.1868
Cl  0.6680  0.9722  0.8805
Cl  0.7095  0.1868  0.5793
Cl  0.8132  0.4207  0.2905
Cl  0.8805  0.6680  0.9722
Cl  0.9722  0.8805  0.6680

Most intense lines, 2θ from 10° to 80°, in order of rising 2θ:
| d [Å] | intensity |
| --- | --- |
| 7.957 | 31 |
| 7.463 | 76 |
| 4.398 | 19 |
| 3.511 | 16 |
| 3.378 | 18 |
| 2.923 | 100 |
| 2.557 | 16 |
| 2.070 | 33 |
| 2.064 | 36 |
| 1.689 | 16 |

---

Entry 4:
Diffraction record for Er3Ga8Rh4. The powder diffractogram is simulated, not measured: it uses DFT lattice parameters and positions (PBE) and Cu Kα.
No peak broadening, texture or thermal motion is included.

Atomic structure:
abc: 8.9944 8.9944 8.9944
angles: 60.00 60.00 60.00
Fractional coordinates of all 30 atoms:
Er  0.2160  0.2160  0.7840
Er  0.2160  0.7840  0.2160
Er  0.2160  0.7840  0.7840
Er  0.7840  0.2160  0.2160
Er  0.7840  0.2160  0.7840
Er  0.7840  0.7840  0.2160
Ga  0.1294  0.6235  0.6235
Ga  0.1627  0.1627  0.1627
Ga  0.1627  0.1627  0.5119
Ga  0.1627  0.5119  0.1627
Ga  0.3765  0.3765  0.3765
Ga  0.3765  0.3765  0.8706
Ga  0.3765  0.8706  0.3765